In December 2001, the Supreme Court had directed the Ministry of Environment and Forests (MoEF) to conduct an enquiry and take appropriate action on the disappearance of hazardous wastes from various Ports, Internal Container Depots (ICD) and Container Freight Stations (CFS). The interim ruling was issued on a writ petition brought by the Research Foundation for Science, Technology and Natural Resource Policy vs the Union of India and others. The background to this ruling was the original Supreme Court ruling of May 1997 banning import of hazardous wastes followed by subsequent orders in Feb 1998 disallowing auction of hazardous waste stocks in the country ports and container depots.
-- begin --
a.
The following is a DFT calculation (ωB97M-V/def2-TZVPD) of the molecule C2H3N3OS.

Geometry as ORCA input:
```
! wB97M-V def2-TZVPD RIJCOSX def2/J DEFGRID3
* xyz 0 1
H 3.3757 -0.4394 -0.0003
N 2.5162 -1.0107 -0.1178
C 1.4725 -0.2570 0.0616
N 1.2948 1.1051 0.0653
N -0.0772 1.3926 -0.0749
C -0.6570 0.2082 -0.0578
S -2.2250 -0.3755 -0.0242
O 0.2301 -0.8316 0.1282
H 1.9048 1.9943 0.0371
H -2.5498 0.9892 0.1945
*
```

* molecular weight: 117.1 g/mol
* LUMO: 0.54 eV

b.
The following is a DFT calculation (ωB97M-V/def2-TZVPD) of the molecule C2H3N3OS.

Geometry as ORCA input:
```
! wB97M-V def2-TZVPD RIJCOSX def2/J DEFGRID3
* xyz 0 1
C -1.2456 -0.8358 0.0772
C -0.6442 0.2933 0.0217
N -2.8332 1.4345 -0.0276
N -3.2924 0.2551 0.0528
N 0.6968 0.6480 0.2340
O -1.5144 1.4983 0.0432
S -4.5941 -0.6254 -0.0350
H -1.7735 -1.7518 0.1707
H 1.3158 0.0579 -0.2962
H 0.8509 1.7411 0.0259
*
```

* molecular weight: 117.1 g/mol
* LUMO (alpha / beta): -1.33 / -1.32 eV

Taking the most stable structure as the zero point, the relative energies in hartree are a 0.0000; b 0.1909.

a.
The following is a DFT calculation (ωB97M-V/def2-TZVPD) of the molecule C3H5NS3.

Geometry as ORCA input:
```
! wB97M-V def2-TZVPD RIJCOSX def2/J DEFGRID3
* xyz 0 1
S -1.4747 -0.3909 2.2984
C -0.1509 0.5678 1.4431
C 0.5376 -0.2465 0.3914
S 1.6849 0.7873 -0.5253
C 0.8021 0.8080 -2.0129
N -0.2182 0.0596 -2.1918
S -0.5662 -0.9793 -0.8908
H -2.1218 -0.6214 1.1495
H -0.5508 1.5184 1.0192
H 0.6600 0.8493 2.1826
H 1.0810 -1.1164 0.7803
H 1.0219 1.5022 -2.8360
*
```

* molecular weight: 151.3 g/mol
* LUMO: 0.65 eV

b.
The following is a DFT calculation (ωB97M-V/def2-TZVPD) of a structure of composition C3H5NS3.

Geometry as ORCA input:
```
! wB97M-V def2-TZVPD RIJCOSX def2/J DEFGRID3
* xyz 0 1
C -1.7728 0.3976 -1.2257
C -0.9449 1.3421 -0.7682
C 0.5524 -0.6404 -1.2092
N 1.2783 -0.4418 2.1011
S -0.9744 -1.0376 -1.6731
S 0.8071 0.9362 -0.7141
S 1.0331 -1.9668 1.3543
H -2.8709 0.6044 -1.3823
H -1.0952 2.3314 -0.4392
H 1.5123 -1.2789 -1.1753
H 2.0560 -0.2490 2.7431
H 0.4190 0.0028 2.3886
*
```

* molecular weight: 151.3 g/mol
* LUMO (alpha / beta): -0.40 / 0.29 eV

Taking the most stable structure as the zero point, the relative energies in hartree are a 0.0000; b 0.0894.

a.
The following is a DFT calculation (ωB97M-V/def2-TZVPD) of a cluster of 2 separate species, C2H9NO3 in total.

Geometry as ORCA input:
```
! wB97M-V def2-TZVPD RIJCOSX def2/J DEFGRID3
* xyz 0 1
N 1.2319 1.7216 1.4204
O 2.1297 1.0997 0.2555
O 2.1702 -0.2032 0.6879
H 1.6485 0.9980 2.0975
H 0.2742 1.3986 1.1787
H 1.4051 2.7205 1.4544
C -1.1543 -1.6107 -1.2791
C -1.1871 -0.2121 -0.6811
O -0.5230 -0.1488 0.5719
H -1.7090 -1.6358 -2.2164
H -0.1247 -1.9100 -1.4766
H -1.6003 -2.3270 -0.5902
H -2.2180 0.0997 -0.4917
H -0.7393 0.5059 -1.3826
H 0.3960 -0.4964 0.4513
*
```

* molecular weight: 95.1 g/mol
* LUMO: 0.56 eV

b.
The following is a DFT calculation (ωB97M-V/def2-TZVPD) of a cluster of 3 separate species, C2H9NO3 in total.
-- stop --
In response to the December 2001 ruling, the MoEF setup an Inquiry Committee on Hazardous Wastes. The terms of reference of this committee were a) to visit ports, ICDs and CFs and verify the inventory of hazardous wastes (waste oil, lead acid batteries, and other non-ferrous metal wastes) seized under the Court's orders of 1998 and b) to identify shortages if any with reference to the quantities that had been seized and the reasons therefor. A. C. Wadhawan, head of the committee, and other members visited five ports, two ICDs, and one CFS. They visited ICD Tughlaqabad, Kandla Port, Mumbai Port, Nhava Sheva Port, Kolkata Port, Chennai Port, ICD at Bangalore and CFS at Ludhiana. The inventory of the seized hazardous wastes viz were verified and the shortages identified by the committee.
Several cases of due diligence not being applied have surfaced due to the inquiry. Lack of coordination between the concerned government agencies is evident from the committee's findings to the effect that the authorities have cleared some kinds of hazardous waste as per the Exim Policy, although these items mentioned in the Exim policy are restricted under the Hazardous Wastes Rules, 1989. The manner in which the port authorities notified the Police about missing zinc-ash drums imported during 1996-97 comes up as a clear case of cover up by the Chennai Customs, between 1996-97 and 2001-02.

While importers without valid permissions for seized consignments have also been found against, the committee prefers that actions against the importers have to be taken as per Customs Act 1962. This writer and other environmental groups such as Toxics Link feel that the action against the importers should be taken according to the Hazardous Waste Rules. Although the list of erring importers has already been furnished by the Ports/ICDs/CFSs to the Ministry of Environment and Forest and to the Supreme Court, it has not been made public.
The committee has also pointed out that the re-export of the material to the original exporters would in no way be feasible at present. "But there is a provision of re-export to the exporter under the Basel Convention and this should be considered as a case of hazardous waste dumping. There should be negotiations on the part of the Ministry of Environment and Forests to re-export the hazardous waste - this cannot be ignored," says Ravi Agarwal of the Basel Action Network.
"The callousness towards the management of earlier records of hazardous waste imports is outrageously criminal and this kind of record keeping needs to be inquired in to thoroughly and the truth should be made public. The Inland container depots of Tughlaqabad, Mumbai and Kandla Port Trust have mentioned that they are not able to locate records due to the manual nature of record keeping! There have been errors in the earlier figures reported by some port authorities. Likewise, the figures given by Kolkata and Chennai Port Trusts have also been revised," says Ravi Agarwal.
........
Record 1
Computed, not measured: a 16-piece molecular cluster, H32O16 overall at a distorted geometry, with the ωB97M-V functional and the def2-TZVPD basis.

Its energy above the lowest of the compared OMol25 structures with the same formula, charge and spin is 114.6 kcal per mole. Its HOMO energy is -9.6729 eV. Its orbital gap is 8.941 eV. As for the total charge: 0. For the LUMO energy, the calculation gives -0.73 eV.

Geometry (Å):
O (0.219, 1.768, -2.961)
H (-0.612, 1.370, -3.187)
H (0.699, 0.979, -3.082)
O (2.956, 0.717, -1.652)
H (2.752, 1.300, -0.933)
H (2.658, 1.105, -2.503)
O (3.250, -1.023, 1.015)
H (3.212, -0.648, 1.912)
H (2.427, -0.766, 0.612)
O (2.228, 2.459, 0.480)
H (1.314, 2.372, 0.305)
H (2.556, 3.140, -0.057)
O (0.461, 1.676, 2.512)
H (0.589, 2.084, 3.340)
H (-0.062, 2.359, 2.163)
O (0.403, -3.106, -0.617)
H (1.184, -3.396, -1.030)
H (0.566, -2.126, -0.532)
O (-2.275, 0.630, -2.886)
H (-1.979, -0.191, -2.543)
H (-2.748, 0.917, -2.105)
O (2.079, -3.683, 1.878)
H (2.025, -4.533, 1.459)
H (1.308, -3.156, 1.630)
O (0.550, -1.361, 2.307)
H (0.564, -0.747, 3.022)
H (-0.356, -1.627, 2.220)
O (-0.464, 2.230, -0.425)
H (-0.226, 2.064, -1.352)
H (-0.442, 3.180, -0.463)
O (-3.110, 1.995, -0.761)
H (-2.198, 2.034, -0.535)
H (-3.417, 2.797, -0.443)
O (-1.759, -2.777, 1.628)
H (-2.475, -2.275, 2.031)
H (-1.613, -2.387, 0.769)
O (0.487, -0.456, -0.155)
H (-0.335, -0.065, -0.484)
H (0.333, -0.649, 0.768)
O (-2.236, -0.613, -0.209)
H (-2.328, 0.025, 0.488)
H (-3.047, -1.073, -0.353)
O (-2.319, 0.681, 2.219)
H (-1.420, 0.881, 2.510)
H (-2.765, 1.515, 2.183)
O (1.043, -0.865, -2.944)
H (1.401, -0.973, -2.084)
H (0.921, -1.779, -3.157)

---

Record 2
Computed, not measured: C32H28N6O6S3Sc as an isolated structure, with the ωB97M-V functional and the def2-TZVPD basis.

Its energy above the lowest of the compared OMol25 structures with the same formula, charge and spin is 24.0 kcal per mole. Its HOMO energy is -10.9596 eV. Its orbital gap is 8.172 eV. As for the total charge: +1. For the LUMO energy, the calculation gives -2.79 eV.

Geometry (Å):
Sc (-0.035, 0.040, -0.153)
C (0.908, -3.138, -2.309)
C (0.153, -2.041, -2.993)
C (-0.646, -2.299, -4.105)
C (-1.310, -1.254, -4.720)
C (-1.094, 0.044, -4.276)
C (-0.234, 0.227, -3.209)
N (0.307, -0.800, -2.527)
C (0.226, 1.573, -2.765)
C (0.053, 2.710, -3.536)
C (0.605, 3.902, -3.089)
C (1.344, 3.909, -1.921)
C (1.480, 2.723, -1.200)
N (0.906, 1.591, -1.609)
C (2.341, 2.664, 0.006)
C (2.431, 3.744, 0.872)
C (3.283, 3.630, 1.959)
C (4.029, 2.475, 2.102)
C (3.890, 1.450, 1.168)
C (4.755, 0.228, 1.233)
N (3.031, 1.536, 0.154)
H (1.727, -3.461, -2.954)
H (0.273, -4.004, -2.123)
H (1.333, -2.789, -1.369)
H (-0.752, -3.314, -4.462)
H (-1.973, -1.441, -5.552)
H (-1.586, 0.880, -4.746)
H (-0.484, 2.668, -4.470)
H (0.489, 4.808, -3.668)
H (1.840, 4.807, -1.584)
H (1.825, 4.626, 0.731)
H (3.366, 4.434, 2.677)
H (4.723, 2.360, 2.923)
H (5.735, 0.453, 0.810)
H (4.312, -0.580, 0.658)
H (4.908, -0.094, 2.261)
........
The committee cites the position of the port authorities on ignorance of a clear-cut idea as to what constitutes hazardous waste. This does not hold water. Import of such materials as recyclables is regulated as per the Exim policy, though the Exim policy in different financial years has undergone significant changes with inputs from the Ministry of Environment and Forests. Battery scrap/battery plates were freely importable during 1996-97, but were made restricted item in 1997-98 in the Exim policy. "The explanation given by the authorities is questionable since this was done despite Delhi High Court's order dated 2 April, 1995 where these items were banned from import. The Ministry of Environment & Forest was aware of the order", says Ravi Agarwal.
The release of large consignments of waste oil, (2,334 containers containing 41,425 MT of waste oil and 16,748 drums) to various importers by the Container Freight Station (CFS) at Ludhiana is alarming since hazardous waste containing PCBs (a known carcinogen), heavy metals, sulphur, etc have been released posing a serious threat to the environment and health. Customs authorities have reported that this has been done in accordance with orders from the Haryana and Punjab High Court under writ petitions filed by the importers.
While the committee's report itself throws up abundant information about the status of waste stocks, culpable importers, as well as the regulatory environment in the country, an intriguing aspect of the committee's report is its view of the Basel Convention. The committee feels that the Convention's ban on hazardous waste exports include for operational flexibilities, and this in turn makes it necessary of individual countries to formulate their own allow or disallow import of particular wastes. "But the recommendations suggested by the committee are not in pursuant to the laws and rules dealing with hazardous waste in India", says Ravi Agarwal.
(To be concluded)